New Post Series “People Who Read People”

Post One In A Six-Month Series On People Reading

*New posts in the series will be published every other Wednesday*

An Introduction To This Whole Bit


I remember late one night I found myself flipping through one channel after another (as one does during late nights,) and I came across an episode of Covert Affairs on USA Network, two striking women (who, since it’s television, simply must be the extremely intelligent and sharp-witted secret agents) inside of what appeared to be a glamorized version of the starship enterprise (turns out it was supposed to be the CIA…) were looking up at a massive computer screen that displayed a mans face with various markings and angles supposedly tracking his facial expressions.

“There are no signs of deceit in his orbicularis oris or orbicularis oculi movements.” The raven-haired one said while staring intently at the screen.

It was three in the morning, that didn’t stop grumpy, half-awake me from snapping, “You mean his mouth and eye muscles, Barbie?” It always annoys me when I hear fictional characters complicate the obvious. I know, I know, they are not real people, and the writers need to make the characters seem intelligent, but it feels as though draping cut-and-dry explanations with useless jargon looks down on those who don’t speak the language. This extends past television, it goes into the real world through writers and inspirational speakers and public figures and authors like Joe Navarro, an ex-FBI agent who wrote What EveryBODY Is Saying (longtime readers will recall that I loathe Joe Navarro, and consider him to be my unofficial arch nemesis,) or the author of one of the first body language books ever written, Julius Fast who wrote Body Language in 1970. And so I tell you the point of this post series: there is a lot of hot air out there, in the world of people-reading manuals and how people reading is portrayed by the media. It is seen as some sort of mysterious skill. And we are all unfailingly impressed by people who read people. It’s just when body language experts come on Fox News and state the obvious cloaked in long-winded explanations, or when yet another new book comes out on how to not only read people, but to use what you find to manipulate someone and become a master persuader, that the art of people reading turns into a game for children. I am writing this post to explain to you how to read people in the ways that I know how. And I’ll mention reliable books and authors who will never write the prideful waste that is so common when it comes to the topic of people reading. I’ve been studying people for five and a half years, and during that time I realized that every manner of reading people (handwriting analysis, cold reading (minus the psychic aspect), body language, microexpressions, physiognomy) can be explained in bite-sized pieces that don’t need the fluff and padding and egos that fill the extra space long enough to fill a book and make a few bucks. Also, 90% of all people-reading material out there is nothing but gobbledygook, empty words, crap, intuition without testing and proof ect., I have read every book that I could get my hands on that speaks on the topic of reading people, and out of the hundreds of books and authors, there are only a handful that have proven themselves truthful and compassionate, and whose work has stood the test of time.

Unrelated to this entry: calculated crystals.
____________
(1)
# PBE AlH3O3, optimized geometry
data_AlH3O3
_chemical_formula_sum 'Al4 H12 O12'
_cell_length_a 5.1809
_cell_length_b 6.1281
_cell_length_c 7.0993
_cell_angle_alpha 85.05
_cell_angle_beta 85.72
_cell_angle_gamma 81.71
_symmetry_space_group_name_H-M 'P 1'
_symmetry_Int_Tables_number 1
loop_
_symmetry_equiv_pos_as_xyz
'x,y,z'
loop_
_atom_site_label
_atom_site_fract_x
_atom_site_fract_y
_atom_site_fract_z
Al1 0.5188 0.1661 0.8336
Al2 0.4812 0.8339 0.1664
Al3 0.0012 0.3327 0.6682
Al4 0.9988 0.6673 0.3318
H1 0.1644 0.9466 0.7911
H2 0.8356 0.0534 0.2089
H3 0.6320 0.4582 0.3062
H4 0.3680 0.5418 0.6938
H5 0.2770 0.2732 0.3516
H6 0.7230 0.7268 0.6484
H7 0.8198 0.7898 0.9035
H8 0.1802 0.2102 0.0965
H9 0.7334 0.0902 0.5011
H10 0.2666 0.9098 0.4989
H11 0.2272 0.5927 0.9946
H12 0.7728 0.4073 0.0054
O1 0.2397 0.0612 0.7114
O2 0.7603 0.9388 0.2886
O3 0.7150 0.5586 0.2150
O4 0.2850 0.4414 0.7850
O5 0.1477 0.3761 0.4165
O6 0.8523 0.6239 0.5835
O7 0.6408 0.8626 0.9158
O8 0.3592 0.1374 0.0842
O9 0.7276 0.1822 0.6088
O10 0.2724 0.8178 0.3912
O11 0.1969 0.6975 0.0950
O12 0.8031 0.3025 0.9050
# Relative energy among the computed polymorphs ... 0.10 eV/f.u.
# Energy of formation ... -195.81 kJ per mole of atoms

(2)
# PBE AlH3O3, optimized geometry
data_AlH3O3
_chemical_formula_sum 'Al2 H6 O6'
_cell_length_a 5.1730
_cell_length_b 5.1730
_cell_length_c 4.7854
_cell_angle_alpha 89.71
_cell_angle_beta 89.71
_cell_angle_gamma 121.61
_symmetry_space_group_name_H-M 'P 1'
_symmetry_Int_Tables_number 1
loop_
_symmetry_equiv_pos_as_xyz
'x,y,z'
loop_
_atom_site_label
_atom_site_fract_x
_atom_site_fract_y
_atom_site_fract_z
Al1 0.3217 0.6501 0.9968
Al2 0.6501 0.3217 0.9968
H1 0.0186 0.7897 0.2850
H2 0.7897 0.0186 0.2850
H3 0.4136 0.4136 0.4114
H4 0.9924 0.4062 0.5897
H5 0.4062 0.9924 0.5897
H6 0.8057 0.8057 0.7422
O1 0.9903 0.5970 0.2271
O2 0.5970 0.9903 0.2271
O3 0.3540 0.3540 0.2166
O4 0.9862 0.3554 0.7883
O5 0.3554 0.9862 0.7883
O6 0.6144 0.6144 0.7768
# Relative energy among the computed polymorphs ... 0.14 eV/f.u.
# Energy of formation ... -195.30 kJ per mole of atoms

(3)
# PBE AlH3O3, optimized geometry
data_AlH3O3
_chemical_formula_sum 'Al8 H24 O24'
_cell_length_a 5.0055
_cell_length_b 8.8529
_cell_length_c 9.5973
_cell_angle_alpha 87.91
_cell_angle_beta 89.63
_cell_angle_gamma 87.64
_symmetry_space_group_name_H-M 'P 1'
_symmetry_Int_Tables_number 1
loop_
_symmetry_equiv_pos_as_xyz
'x,y,z'
loop_
_atom_site_label
_atom_site_fract_x
_atom_site_fract_y
_atom_site_fract_z
Al1 0.9972 0.3244 0.5024
Al2 0.5016 0.8386 0.0055
Al3 0.9812 0.6684 0.5057
Al4 0.5162 0.1751 0.0106
Al5 0.5093 0.1629 0.4988
Al6 0.0215 0.6657 0.0019
Al7 0.4783 0.8340 0.5024
Al8 0.9847 0.3326 0.0069
H1 0.6921 0.3151 0.2859
H2 0.8910 0.9235 0.8859
H3 0.2910 0.6866 0.7043
H4 0.2005 0.1944 0.2072
H5 0.0100 0.9015 0.3893
H6 0.4298 0.4060 0.8871
H7 0.9287 0.0737 0.6166
H8 0.6407 0.5728 0.1192
H9 0.6183 0.0012 0.2915
H10 0.9020 0.5049 0.7949
H11 0.3735 0.9991 0.7060
H12 0.3481 0.4467 0.1116
____________

You might think that this means I am dismissing authors and experts just because they seem a tad full of it.

<<<
1.
VASP calculation (GGA+U) on an optimized crystal structure of Li5V3CrO8.

```
data_Li5V3CrO8
_symmetry_space_group_name_H-M 'P 1'
_symmetry_Int_Tables_number 1
_symmetry_space_group_name_Hall 'P 1'
_cell_length_a 6.022
_cell_length_b 6.022
_cell_length_c 9.923
_cell_angle_alpha 89.84
_cell_angle_beta 89.84
_cell_angle_gamma 120.58
loop_
_atom_site_label
_atom_site_type_symbol
_atom_site_fract_x
_atom_site_fract_y
_atom_site_fract_z
_atom_site_occupancy
Li1 Li 0.209 0.818 0.058 1
Li2 Li 0.347 0.683 0.274 1
Li3 Li 0.209 0.406 0.055 1
Li4 Li 0.015 0.015 0.487 1
Li5 Li 0.015 0.015 0.987 1
Li6 Li 0.406 0.209 0.555 1
Li7 Li 0.624 0.819 0.058 1
Li8 Li 0.819 0.624 0.558 1
Li9 Li 0.683 0.347 0.774 1
Li10 Li 0.818 0.209 0.558 1
O1 O 0.035 0.524 0.659 1
O2 O 0.350 0.181 0.911 1
O3 O 0.018 0.023 0.177 1
O4 O 0.496 0.992 0.660 1
O5 O 0.519 0.497 0.158 1
O6 O 0.023 0.018 0.677 1
O7 O 0.332 0.674 0.907 1
O8 O 0.497 0.519 0.658 1
O9 O 0.181 0.350 0.411 1
O10 O 0.682 0.856 0.411 1
O11 O 0.992 0.496 0.160 1
O12 O 0.856 0.682 0.911 1
O13 O 0.186 0.856 0.411 1
O14 O 0.856 0.186 0.911 1
O15 O 0.524 0.035 0.159 1
O16 O 0.674 0.332 0.407 1
V1 V 0.188 0.354 0.787 1
V2 V 0.841 0.672 0.289 1
V3 V 0.672 0.841 0.789 1
V4 V 0.354 0.188 0.287 1
V5 V 0.846 0.186 0.287 1
V6 V 0.186 0.846 0.787 1
Cr1 Cr 0.346 0.682 0.527 1
Cr2 Cr 0.682 0.346 0.027 1
```

Properties
The MP2020-corrected energy is -7.353 eV per atom. The value obtained for the formation energy from the elements is -2.29 eV per atom. The symmetry is Cc, No. 9. Its energy above the most stable polymorph in this dataset is 0.0 meV per atom.

2.
VASP calculation (GGA+U) on an optimized crystal structure of Li5Mn2CrO8.

```
data_Li5Mn2CrO8
_symmetry_space_group_name_H-M 'P 1'
_symmetry_Int_Tables_number 1
_symmetry_space_group_name_Hall 'P 1'
_cell_length_a 5.812
_cell_length_b 10.147
_cell_length_c 5.831
_cell_angle_alpha 73.77
_cell_angle_beta 119.89
_cell_angle_gamma 90.00
loop_
_atom_site_label
_atom_site_type_symbol
_atom_site_fract_x
_atom_site_fract_y
_atom_site_fract_z
_atom_site_occupancy
O1 O 0.385 0.862 0.769 1
O2 O 0.136 0.637 0.757 1
O3 O 0.389 0.361 0.777 1
O4 O 0.889 0.861 0.777 1
O5 O 0.636 0.137 0.757 1
O6 O 0.121 0.137 0.757 1
O7 O 0.879 0.863 0.243 1
O8 O 0.885 0.362 0.769 1
O9 O 0.364 0.863 0.243 1
O10 O 0.864 0.363 0.243 1
O11 O 0.111 0.139 0.223 1
O12 O 0.611 0.639 0.223 1
O13 O 0.379 0.363 0.243 1
O14 O 0.115 0.638 0.231 1
O15 O 0.621 0.637 0.757 1
O16 O 0.615 0.138 0.231 1
Li1 Li 0.750 0.750 0.500 1
Li2 Li 0.500 0.500 0.000 1
Li3 Li 0.000 0.500 0.000 1
Li4 Li 0.250 0.250 0.500 1
Li5 Li 0.000 0.500 0.500 1
Li6 Li 0.500 0.000 0.500 1
Li7 Li 0.500 0.000 0.000 1
Li8 Li 0.000 0.000 0.000 1
Li9 Li 0.500 0.500 0.500 1
Li10 Li 0.000 0.000 0.500 1
Mn1 Mn 0.750 0.250 0.000 1
Mn2 Mn 0.250 0.250 0.000 1
Mn3 Mn 0.250 0.750 0.000 1
Mn4 Mn 0.750 0.750 0.000 1
Cr1 Cr 0.250 0.750 0.500 1
Cr2 Cr 0.750 0.250 0.500 1
```

Properties
>>>

You would be correct.

While many authors may be correct with the very basics regarding the brain and how it influences our facial expressions (such as Joe Navarro,) an author that is riding in the clouds on their high horse (such as Joe Navarro) is bound to trust their own intuition far too much (ahem…Joe Navarro,) therefore skewing perfectly good material. I want you to only get the entire truth so you can accurately read people. This is truthfully a place where my heart is, because I do genuinely feel angry at folks who write books flooded with incorrect information, knowing that the public will read it and be misinformed. They may believe their analysis to be correct because experience surely must have given them a good enough spidey-sense to make assumptions with no foundation, but many times as I’m reading a point made from just intuitive analysis (analysis by one’s ‘gut feeling’ alone) I can recall several moments from personal experience off of the top of my head where points certain authors have made are proven entirely wrong (for example, one book claims that if you’re speaking with someone and their legs are crossed towards you while you’re speaking, and mid-conversation they switch their position so they have now crossed their legs away from you, they must suddenly disagree with your point. But, there have been multiple occasions where I shift simply because I lose feeling in the leg that is currently crossed, not because I disagree that Taylor Lautner looks exactly the same as he did in Shark Boy & Lava Girl…am I honestly the only human being who thinks he’s flat-out unattractive? Ahem, anyway…) I can trust an author’s analysis when I see joy in the project and humility in their words. A lovely example of this sort of human being is Allan Pease, who wrote (with his wife, Barbara) The Definitive Book of Body Language. Read, listen, or watch any seminar or interview of his and you can see passion for his work and a childlike amusement for the subject. His book on body language is number one on my list. There are several points in the book that I don’t entirely agree with because they cannot be proven (such as his belief that the movement of shaking our head to signal ‘no’ comes from our days when we would move our heads away from a bottle when we were finished eating as babies,) but without a doubt his book is the best on the topic I have ever read.

Also topics I’ll be covering include a few unusual methods of reading people. Such as cold reading. Cold reading is used by fake psychics to make their customers believe that they know impossible things about them without having met them before. I’m not going to try to explain how to be a fake psychic, but I will tell you about some neat little people-reading tricks that cold readers use frequently. As well as getting to know someone from their appearance, using everything from the size of their nose and cheekbones to the back of their shoes. I tell you now that this is sort of a personal venture of mine, about three years ago I realized that my mother could identify a decline in my mood based on my clothing choices alone, and ever since I’ve become fascinated with the art of profiling people based on their clothing choices. As for the nose and cheekbone bit, that comes from the Taoist art of mein shiang, which associates personality traits with facial features. Obviously, there’s a lot of spirituality in this type of people reading that we shall avoid (did I mention monks are the ones who came up with mein shiang?) but again, looking past the unprovable, we find some gems that can tell us a thing or two about personality.

Also I will tell you here and there bits about the brain…The lovely, lovely brain. Actually, expect me to try to make you fall in love with your central nervous system, because it’s pretty (dare I say it again?) freakin’ awesome when it comes down to it.

**Inserted here: crystal structures**
# 1
Crystalline Mg3BiSb at its relaxed geometry, computed with PBE.

Cell lengths 4.664, 4.664, 7.360 Å; angles 90.00, 90.00, 120.00 degrees
Element x y z (fractional)
Mg  0.000  0.000  0.000
Mg  0.333  0.667  0.261
Mg  0.667  0.333  0.640
Bi  0.000  0.000  0.415
Sb  0.333  0.667  0.860

As for the formation enthalpy at 0 K: -0.3147 eV/atom. For the mass density, the calculation gives 4.83 g cm⁻³. The total energy comes out at -2.840 eV per atom. As for the corrected total energy (MP2020 scheme): -2.879 eV/atom.

---

# 2
Crystalline LaB4 at its relaxed geometry, computed with PBE.

Cell lengths 7.311, 7.311, 4.183 Å; angles 90.00, 90.00, 90.00 degrees
Element x y z (fractional)
La  0.184  0.316  0.000
La  0.316  0.816  0.000
La  0.684  0.184  0.000
La  0.816  0.684  0.000
B  0.000  0.000  0.206
B  0.000  0.000  0.794
B  0.039  0.826  0.500
B  0.089  0.589  0.500
B  0.174  0.039  0.500
B  0.326  0.539  0.500
B  0.411  0.089  0.500
B  0.461  0.326  0.500
B  0.500  0.500  0.206
B  0.500  0.500  0.794
B  0.539  0.674  0.500
B  0.589  0.911  0.500
B  0.674  0.461  0.500
B  0.826  0.961  0.500
B  0.911  0.411  0.500
B  0.961  0.174  0.500

As for the formation enthalpy at 0 K: -0.5648 eV/atom. For the mass density, the calculation gives 5.41 g cm⁻³. The total energy comes out at -6.896 eV per atom.

---

# 3
Crystalline Ga3Ag at its relaxed geometry, computed with PBE.

Cell lengths 5.814, 5.814, 5.143 Å; angles 90.00, 90.00, 120.00 degrees
Element x y z (fractional)
Ga  0.166  0.333  0.250
Ga  0.166  0.834  0.250
Ga  0.333  0.166  0.750
Ga  0.667  0.834  0.250
Ga  0.834  0.166  0.750
Ga  0.834  0.667  0.750
Ag  0.333  0.667  0.750
Ag  0.667  0.333  0.250

As for the formation enthalpy at 0 K: 0.0629 eV/atom. For the mass density, the calculation gives 6.99 g cm⁻³. The total energy comes out at -2.916 eV per atom. As for the distance to the lowest polymorph of the same formula: 34 meV/atom.

~~~~~

1.
## Os2C3N6 (PBE-GGA)

Data for crystalline Os2C3N6 at its relaxed geometry.

Cell: 8.673 8.673 5.098 Å, 92.08 92.08 22.15°
Fractional coordinates of all 11 atoms:
Os  0.180  0.180  0.416
Os  0.820  0.820  0.584
C  0.000  0.000  0.500
C  0.319  0.319  0.072
C  0.681  0.681  0.928
N  0.071  0.071  0.480
N  0.301  0.301  0.309
N  0.331  0.331  0.836
N  0.669  0.669  0.164
N  0.699  0.699  0.691
N  0.929  0.929  0.520

Properties
For the formation enthalpy at 0 K, the calculation gives 0.37 eV/atom. Its space group is C2/m, No. 12. The energy comes out at -8.54 eV per atom. The energy above the lowest structure with this stoichiometry comes out at 0.097 eV per atom.


2.
## Pb4CN4 (PBE-GGA)

Data for crystalline Pb4CN4 at its relaxed geometry.

Cell: 11.343 3.531 18.014 Å, 90.00 90.00 90.00°
Fractional coordinates of all 36 atoms:
Pb  0.066  0.250  0.078
Pb  0.075  0.750  0.326
Pb  0.133  0.250  0.535
Pb  0.213  0.750  0.703
Pb  0.287  0.250  0.203
Pb  0.367  0.750  0.035
Pb  0.425  0.250  0.826
Pb  0.434  0.750  0.578
Pb  0.566  0.250  0.422

Until I Write Again,
